Relating to Real Estate

Misplaced data records.
- - -
129
Properties=species:S:1:pos:R:3:forces:R:3:lowdin_charge:R:1 method="wB97M-V/def2-TZVPD" charge=+5 e_above_lowest_kcal_mol=0.00 homo_ev=-15.60 max_force_ev_per_a=3.85 total_energy_ha=-3558.9677 gap_ev=0.75
In -2.755638 -4.177155 0.096978 -0.31 -0.03 0.37 0.944
In 1.949491 -3.389370 -6.627844 0.22 -0.28 -0.18 0.987
Na -1.598332 2.802079 -5.903760 -0.28 0.02 0.20 0.966
Na 3.825015 3.573911 -4.465450 0.15 0.03 0.29 0.969
P 0.469531 0.774025 -1.789069 -1.02 -0.21 1.52 -0.010
O 0.443628 2.277652 -2.108727 0.00 -1.17 0.49 -0.320
O 0.206280 0.317902 -0.274871 0.28 1.21 -3.65 -0.236
O 1.802600 0.224497 -2.325340 -0.24 -0.14 -0.21 -0.177
O -0.511789 -0.023721 -2.729862 1.07 0.47 1.09 -0.195
C 1.009118 12.684752 2.066878 -1.35 0.34 0.51 -0.074
O 0.882493 11.287030 1.948599 0.03 -1.28 -0.42 -0.162
C -0.285358 10.862789 1.236496 1.11 1.40 -0.03 -0.200
C -0.241818 9.366520 1.139815 -0.73 -0.87 -1.23 -0.158
N -1.435162 8.766827 0.498508 -0.69 -0.06 1.58 0.027
C -2.565709 8.391875 1.378448 0.88 -1.09 0.25 -0.156
C -2.962058 9.328315 2.506796 -0.87 -0.19 -1.04 -0.218
O -4.149098 8.822091 3.074170 0.11 0.02 0.14 -0.163
C -4.817124 9.720176 3.975453 0.28 -0.04 0.35 -0.057
H 1.872333 13.039717 2.629870 0.31 -0.73 -0.33 0.103
H 0.155504 12.937958 2.695622 -0.25 0.85 -0.08 0.097
H 0.927908 13.171288 1.094865 0.11 0.13 -0.02 0.099
H -0.281630 11.318019 0.246123 0.35 -0.26 -0.53 0.136
H -1.204745 11.316309 1.606822 -0.23 -0.27 0.87 0.121
H -0.073929 8.871707 2.096401 0.08 0.17 0.42 0.140
H 0.535109 9.033738 0.451512 0.52 0.48 0.36 0.128
H -1.104975 7.928284 0.042505 -0.37 0.05 -0.45 0.115
H -2.317828 7.409028 1.779275 0.74 -0.44 0.85 0.134
H -3.436906 7.976971 0.871522 -0.37 1.07 -0.77 0.137
H -3.133117 10.236466 1.928779 -0.33 0.86 0.42 0.134
H -2.204494 9.530856 3.263885 0.25 -0.12 0.04 0.137
H -5.552176 10.325360 3.444835 0.33 0.29 -0.11 0.100
H -4.075534 10.286800 4.538559 -0.02 0.49 -0.30 0.092
H -5.369201 9.208101 4.763542 0.06 -0.69 -0.40 0.094
C -6.000804 -2.403520 4.128461 0.93 -0.92 0.22 -0.074
O -4.640489 -2.110198 3.697848 -1.27 1.20 0.13 -0.219
C -3.979382 -1.145031 4.553187 -1.51 -1.37 -0.36 -0.207
C -3.190663 -1.918973 5.609023 0.78 2.33 -1.95 -0.182
N -2.075983 -2.621479 4.945640 -0.31 -0.71 3.03 0.011
C -1.317006 -3.349592 6.000236 0.41 -1.56 -1.87 -0.131
C -0.353461 -4.437023 5.306154 0.32 2.43 0.13 -0.203
O -0.956898 -5.230595 4.332250 -0.71 0.10 0.63 -0.188
C -0.283125 -6.422335 4.055490 -0.96 -1.68 0.29 -0.110
H -6.681318 -1.568615 4.295566 0.41 0.40 -0.29 0.093
H -5.919750 -2.961215 5.061470 -0.19 0.01 0.24 0.084
H -6.442369 -3.095211 3.411045 0.12 0.21 -0.18 0.080
H -4.662136 -0.460455 5.056484 -0.56 -0.29 0.11 0.122
H -3.461454 -0.453019 3.889136 0.90 -0.42 0.11 0.121
H -3.794254 -2.447776 6.346686 0.06 -0.76 -0.70 0.135
H -2.874321 -1.047955 6.182928 0.97 0.11 0.68 0.128
H -1.463765 -2.030920 4.401091 -0.18 0.32 -0.08 0.122
H -2.057579 -3.735599 6.700686 0.12 -0.54 -0.25 0.117
H -0.695806 -2.691707 6.608022 0.35 0.22 -0.12 0.122
- - -
Back to the page.
Funeral Home May Be Constructed despite Community’s Cultural Sensitivity
In Clarksville Residents Against Mortuary Defense Fund, Inc. v. Donaldson Properties, ––– A.3d –––, No. 70 Sept. Term 2016, 2017 WL 2687761 (Md. June 22, 2017), the Court of Appeals affirmed the Howard County Board of Appeals approval of a conditional use application for a funeral home in a rural/residential district despite testimony that the neighbors of Asian descent had a strongly negative cultural sensitivity to funeral homes.
Donaldson Properties filed a conditional use plan for a funeral home and mortuary in December 2009 on 3.2 acres of land on Clarkville Pike in the RR-DEO zoning district. The Howard County Department of Planning and Zoning concluded that the proposed plan, as amended, should be approved because it met the General Standards and Specific Criteria for a funeral home and mortuary conditional use. In opposition, at hearings members of the community testified that it would bring bad luck to have a funeral home in the neighborhood, it was incompatible with nearby homes from a feng shui perspective, and that persons of Asian descent have a cultural sensitivity to funeral homes.
The approval was affirmed by the Circuit Court for Howard County and by the Court of Special Appeals before the Court of Appeals issued a writ of certiorari.
The Court first determined that the specific requirements of the Howard County Code relating to conditional uses controlled over the general zoning provisions of the Code. The Court noted that conditional uses are not permitted automatically, but there is a presumption that they are appropriate and compatible with the indicated districts. Even so, the applicant has the burden of production and persuasion to convince the Board that the conditional use will comply with all applicable requirements. The Court quoted from Schultz v. Pritts, 291 Md. 1 (1981), “If the applicant shows to the satisfaction of the Board that the proposed use would be conducted without real detriment to the neighborhood and would not actually adversely affect the public interest, [the applicant] has met [the] burden.” Without probative evidence of unique adverse effects, it is arbitrary, capricious, and illegal for the Board to deny a conditional use application.
In response to the concerns about the cultural sensitivities of neighbors of Asian descent, the Board had concluded that these issues did not pertain to the issues of concern that are listed in the Code (such as noise, dust, and vibrations), which are all physical conditions. The Court held that because the community members did not connect their sensitivities to any of the enumerated conditions in the Code, the Board’s decision to approve the conditional use was correct.
For questions, please contact Ed Levin (410) 576-1900.